North Derbyshire Community Diabetes Specialist Nurse Referral Criteria


•  To support patients with Type 1 and Type 2 Diabetes, with complex needs, in achieving optimum glycaemic control, through short term specialist intervention.

•  To provide telephone support and advice to health care professionals/ patients/ carers.

•  To work in partnership, with patients with diabetes, providing individuals with a plan of care that is updated as required as progress is reviewed and evaluated.

## Someone pasted crystal structures at this point
____________
Below is a geometry-optimized ReIr6Ru structure, with properties calculated at the GGA-PBE level.

a b c (Å): 6.9771 6.9771 9.8469
angles (deg): 90.00 90.00 120.00
Space group R-3m (No. 166, hexagonal axes)
Inequivalent atoms, fractional coordinates:
Re  0.0000  0.0000  0.0000 x3
Ir  0.0789  0.5394  0.3814 x18
Ru  0.0000  0.0000  0.5000 x3

Calculated total energy ... -0.311 Ha/atom
N(E_F) ... 1.5203 states/eV/atom
Formation energy ... 0.911 eV/atom

* * * * *

! Sr5Ge2Br2 PBE-GGA optimized geometry; values from VASP
! space-group type: Cmce
! energy: -60.346 eV for the cell shown
&SYSTEM
  ibrav = 0, nat = 18, ntyp = 3
/
ATOMIC_SPECIES
Sr 87.62 Sr.upf
Ge 72.64 Ge.upf
Br 79.90 Br.upf
CELL_PARAMETERS angstrom
7.910 -4.486 0.000
7.910 4.486 0.000
0.000 0.000 9.006
ATOMIC_POSITIONS crystal
Sr 0.000 0.000 0.000
Sr 0.029 0.740 0.641
Sr 0.240 0.529 0.141
Sr 0.260 0.971 0.641
Sr 0.471 0.760 0.141
Sr 0.500 0.500 0.500
Sr 0.529 0.240 0.859
Sr 0.740 0.029 0.359
Sr 0.760 0.471 0.859
Sr 0.971 0.260 0.359
Ge 0.160 0.840 0.340
Ge 0.340 0.660 0.840
Ge 0.660 0.340 0.160
Ge 0.840 0.160 0.660
Br 0.210 0.210 0.000
Br 0.290 0.290 0.500
Br 0.710 0.710 0.500
Br 0.790 0.790 0.000

! SrGe2Br PBE-GGA optimized geometry; values from VASP
! E above lowest polymorph: 253.9 meV/atom
! space-group type: Fm-3m
! energy: -12.109 eV for the cell shown
&SYSTEM
  ibrav = 0, nat = 4, ntyp = 3
/
ATOMIC_SPECIES
Sr 87.62 Sr.upf
Ge 72.64 Ge.upf
Br 79.90 Br.upf
CELL_PARAMETERS angstrom
0.000 3.779 3.779
3.779 0.000 3.779
3.779 3.779 0.000
ATOMIC_POSITIONS crystal
Sr 0.000 0.000 0.000
Ge 0.250 0.250 0.250
Ge 0.750 0.750 0.750
Br 0.500 0.500 0.500

! SrGe3Br8 PBE-GGA optimized geometry; values from VASP
! space-group type: Cm
! energy: -39.680 eV for the cell shown
&SYSTEM
  ibrav = 0, nat = 12, ntyp = 3
/
ATOMIC_SPECIES
Sr 87.62 Sr.upf
Ge 72.64 Ge.upf
Br 79.90 Br.upf
CELL_PARAMETERS angstrom
9.038 -2.885 0.000
9.038 2.885 0.000
-2.746 0.000 9.011
ATOMIC_POSITIONS crystal
Sr 0.000 0.000 0.000
Ge 0.559 0.559 0.430
Ge 0.693 0.693 0.054
Ge 0.889 0.889 0.405
Br 0.049 0.049 0.370
Br 0.173 0.173 0.029
Br 0.408 0.408 0.397
Br 0.527 0.527 0.062
Br 0.605 0.605 0.700
Br 0.731 0.731 0.343
Br 0.841 0.841 0.064
Br 0.898 0.898 0.682

! SrGe2Br8 PBE-GGA optimized geometry; values from VASP
! space-group type: P-3m1
! energy: -33.353 eV for the cell shown
&SYSTEM
  ibrav = 0, nat = 11, ntyp = 3
/
ATOMIC_SPECIES
Sr 87.62 Sr.upf
Ge 72.64 Ge.upf
Br 79.90 Br.upf
CELL_PARAMETERS angstrom
8.048 0.000 0.000
-4.024 6.970 0.000
0.000 0.000 9.163
ATOMIC_POSITIONS crystal
Sr 0.000 0.000 0.000
Ge 0.333 0.667 0.703
Ge 0.667 0.333 0.297
Br 0.155 0.311 0.761
Br 0.155 0.845 0.761
Br 0.311 0.155 0.239
Br 0.333 0.667 0.446
Br 0.667 0.333 0.554
Br 0.689 0.845 0.761
Br 0.845 0.155 0.239
Br 0.845 0.689 0.239

! SrGe2Br6 PBE-GGA optimized geometry; values from VASP
! E above lowest polymorph: 50.0 meV/atom
! space-group type: R3
! energy: -30.070 eV for the cell shown
&SYSTEM
  ibrav = 0, nat = 9, ntyp = 3
/
ATOMIC_SPECIES
____________

•  To provide an integral part of the whole care pathway for diabetes; bridging the gap between primary care and secondary care

Here the entry breaks off for data records =
'''
Below is BaCdAg2Os at its PBEsol-relaxed geometry, with properties calculated at the meta-GGA SCAN level.

Geometry as CIF:
```
data_BaCdAg2Os
_chemical_formula_sum 'Ba1 Cd1 Ag2 Os1'
_cell_length_a 5.125
_cell_length_b 5.125
_cell_length_c 5.405
_cell_angle_alpha 90.00
_cell_angle_beta 90.00
_cell_angle_gamma 90.00
_symmetry_space_group_name_H-M 'P 4/m m m'
_symmetry_Int_Tables_number 123
_symmetry_space_group_name_Hall '-P 4 2'
loop_
_atom_site_label
_atom_site_fract_x
_atom_site_fract_y
_atom_site_fract_z
Ba1 0.000 0.000 0.000
Cd1 0.500 0.500 0.000
Ag1 0.000 0.500 0.500
Os1 0.000 0.000 0.500
'''

•  To support patients, carers and health care professionals in structured educational programmes and informal sessions.

Referral Criteria

•  Patients with Type 2 Diabetes with suboptimal glycaemic control, despite intensive management with maximum tolerated oral therapy following North Derbyshire Guidelines for advice on treatment changes.

•  Patients with Type 2 Diabetes with suboptimal glycaemic control, on insulin therapy for advice on treatment adjustments or changes.

•  Patients with Type 1 Diabetes with suboptimal glycaemic control who are unable or unwilling to attend secondary care services

•  Patients with Type 1 Diabetes who require additional support and education to manage their condition and treatment in the community.

•  Those requiring support to overcome barriers to self care of treatments and condition.

•  Management of Diabetes when other treatments initiated (eg. Corticosteroids) have destabilised patient's control

•  Patients with issues concerning recurrent hypoglycaemia or unexplained hyperglycaemia

•  Patients that are frequently admitted to hospital (eg. With DKA)

•  Patients who would benefit from specialist support and advice in relation to specific activities of daily living due to their diabetes eg. Exercise/ travel/ sick day rules

•  Patients treated with insulin therapy who are required to starve prior to procedures.

Referral Process

•  All referrals should be completed using Community Diabetes Nurse referral form with a current medication printout attached.

•  Please ensure all patients are aware of referral and wish to be seen

•  Lead Diabetes Specialist Nurse will triage written referrals.

•  Patient will be contacted and offered a mutually convenient appointment locally.

•  Failure to attend first appointment may result in patient's discharge from the service.

**Between two parts of the article: data records:**
(1)
Compound: SrAgF3
Source: the Alexandria database
Functional: PBE
Structure: optimized geometry

Properties
space-group type: No. 160
energy relative to the elements, uncorrected: -1244 kJ/mol of formula units

CIF file:
```
data_SrAgF3
_chemical_formula_sum 'Sr1 Ag1 F3'
_symmetry_space_group_name_H-M 'P 1'
_symmetry_Int_Tables_number 1
_cell_length_a 4.809
_cell_length_b 4.809
_cell_length_c 4.809
_cell_angle_alpha 87.70
_cell_angle_beta 87.70
_cell_angle_gamma 87.70
loop_
_symmetry_equiv_pos_as_xyz
'x,y,z'
loop_
_atom_site_label
_atom_site_fract_x
_atom_site_fract_y
_atom_site_fract_z
Sr1 0.221 0.221 0.221
F1 0.175 0.717 0.175
F2 0.717 0.175 0.175
F3 0.175 0.175 0.717
Ag1 0.836 0.836 0.836
```



(2)
Compound: Ba2TiCu
Source: the Alexandria database
Functional: PBE
Structure: optimized geometry

Properties
space-group type: No. 122
raw total energy: -25.70 eV for the cell shown

CIF file:
```
data_Ba2TiCu
_chemical_formula_sum 'Ba4 Ti2 Cu2'
_symmetry_space_group_name_H-M 'P 1'
_symmetry_Int_Tables_number 1
_cell_length_a 9.119
_cell_length_b 9.119
_cell_length_c 7.274
_cell_angle_alpha 51.18
_cell_angle_beta 51.18
_cell_angle_gamma 90.00
loop_
_symmetry_equiv_pos_as_xyz
'x,y,z'
loop_
_atom_site_label
_atom_site_fract_x
_atom_site_fract_y
_atom_site_fract_z
Ba1 0.673 0.125 0.250
Ba2 0.875 0.923 0.750
Ba3 0.375 0.327 0.750
Ba4 0.077 0.625 0.250
Ti1 0.500 0.500 0.000
Ti2 0.250 0.750 0.500
Cu1 0.750 0.250 0.500
Cu2 0.000 0.000 0.000
```



(3)
Compound: MgCdSb2S
Source: the Alexandria database
Functional: PBE
Structure: optimized geometry

Properties
space-group type: No. 123
energy relative to the elements, uncorrected: 77 kJ/mol of formula units

CIF file:
```
data_MgCdSb2S
_chemical_formula_sum 'Mg1 Cd1 Sb2 S1'
_symmetry_space_group_name_H-M 'P 1'
_symmetry_Int_Tables_number 1
_cell_length_a 5.437
_cell_length_b 4.655
_cell_length_c 5.437
_cell_angle_alpha 90.00
_cell_angle_beta 90.00
_cell_angle_gamma 90.00
loop_
_symmetry_equiv_pos_as_xyz
'x,y,z'
loop_
_atom_site_label
_atom_site_fract_x
_atom_site_fract_y
_atom_site_fract_z
Sb1 0.500 0.000 0.000
Sb2 0.000 0.000 0.500
S1 0.000 0.000 0.000
Cd1 0.500 0.500 0.500
Mg1 0.000 0.500 0.000
```



(4)
Compound: CeYTm
Source: the Alexandria database
Functional: PBE
Structure: optimized geometry

Properties
space-group type: No. 14
raw total energy: -65.78 eV for the cell shown

CIF file:
```
data_CeYTm
_chemical_formula_sum 'Ce4 Y4 Tm4'
_symmetry_space_group_name_H-M 'P 1'
_symmetry_Int_Tables_number 1
_cell_length_a 6.587
_cell_length_b 10.233
_cell_length_c 6.546
_cell_angle_alpha 90.00
_cell_angle_beta 122.19
_cell_angle_gamma 90.00
loop_
_symmetry_equiv_pos_as_xyz
'x,y,z'
loop_
_atom_site_label
_atom_site_fract_x
_atom_site_fract_y
_atom_site_fract_z
Y1 0.070 0.545 0.775
Y2 0.430 0.045 0.225
Y3 0.570 0.955 0.775
Y4 0.930 0.455 0.225
Ce1 0.441 0.276 0.801
Ce2 0.059 0.776 0.199
Ce3 0.941 0.224 0.801
Ce4 0.559 0.724 0.199
Tm1 0.035 0.876 0.692
Tm2 0.535 0.624 0.692
Tm3 0.965 0.124 0.308

•  Home visits may be requested for housebound patients requiring specialist support. These may be offered as a joint appointment (eg. with Community Matron). However the responsibility of routine diabetes management of housebound patients lies with the GP practice.

•  It is helpful if patients are blood glucose monitoring prior to referral and have adequate strips on repeat prescription (2 -3 boxes a month may be required)

•  This is a not an emergency service. Service provided Monday - Friday 9am - 5pm

•  Patients are discharged back to GP Surgery once management plan is in place.

(October 2014)

Telephone Direct line: 01629 817878

Fax: 01629 817890